## Source
# USbRu (r²SCAN, optimized geometry)
data_USbRu
_chemical_formula_sum 'U3 Sb3 Ru3'
_symmetry_space_group_name_H-M 'P 1'
_symmetry_Int_Tables_number 1
_cell_length_a 4.0130
_cell_length_b 7.3794
_cell_length_c 7.3807
_cell_angle_alpha 119.99
_cell_angle_beta 90.00
_cell_angle_gamma 90.00
loop_
_symmetry_equiv_pos_as_xyz
'x,y,z'
loop_
_atom_site_label
_atom_site_type_symbol
_atom_site_fract_x
_atom_site_fract_y
_atom_site_fract_z
Sb1 Sb 0.0000 0.7452 0.7452
Sb2 Sb 0.0000 0.9999 0.2548
Sb3 Sb 0.0000 0.2547 0.0000
U1 U 0.5000 0.0002 0.5781
U2 U 0.5000 0.4221 0.4220
U3 U 0.5000 0.5778 0.0000
Ru1 Ru 0.0000 0.3333 0.6666
Ru2 Ru 0.5000 0.0000 0.0000
Ru3 Ru 0.0000 0.6667 0.3334
# Energy relative to the elements   -520 meV per atom
# Energy   -44.211 eV per atom
# Size of the total moment   2.25 μB per formula unit

=====

(1)
Below is a relaxed LiCo2NiO6 crystal, with properties calculated at the PBE+U level.

Density ... 4.476 Mg/m³
ΔE_f ... -1237 meV per atom
Energy ... -108.0 eV for the cell shown
Total magnetic moment ... 0.2000 μB/atom
Symmetry ... P1

```
LiCo2NiO6
1.0
2.8836 0.0000 0.0000
1.3761 6.3472 0.0000
0.4961 3.1832 11.3303
Li Co Ni O
2 4 2 12
Cartesian
0.0000 0.0000 0.0000
1.6612 7.9313 5.6392
1.4326 2.4365 0.9557
1.7450 4.0280 6.6556
3.0521 5.4836 4.6269
3.3490 7.1150 10.3396
0.4077 2.3928 8.4916
2.9736 0.8044 2.7988
1.4449 5.3289 3.3464
1.4220 4.1987 0.2391
1.8780 6.9325 9.1392
1.8168 5.7789 5.9864
1.3934 0.6342 1.4142
1.7272 2.2261 7.1253
3.0766 7.3300 4.1966
3.3462 8.9119 9.8619
2.8879 2.6112 2.1612
3.3695 5.3592 11.0500
3.2085 4.2022 7.8587
3.1708 3.7427 5.4290
```

(2)
Below is a relaxed Li2Co3NiO8 crystal, with properties calculated at the PBE+U level.

Density ... 4.815 Mg/m³
ΔE_f ... -1439 meV per atom
Energy ... -155.4 eV for the cell shown
Total magnetic moment ... 0.3571 μB/atom
Symmetry ... P6_3mc

```
Li2Co3NiO8
1.0
5.6383 0.0000 0.0000
-2.8191 4.8829 0.0000
0.0000 0.0000 9.4550
Li Co Ni O
4 6 2 16
Cartesian
0.0000 0.0000 0.0000
0.0000 0.0000 4.7275
0.0000 3.2552 3.7377
2.8191 1.6276 8.4652
0.0000 1.6454 6.7726
-1.3941 4.0601 6.7726
1.4250 0.8227 2.0451
1.3941 4.0601 6.7726
4.2133 0.8227 2.0451
2.8191 3.2374 2.0451
0.0000 3.2552 9.3831
2.8191 1.6276 4.6556
0.0000 0.0000 2.9752
0.0000 0.0000 7.7027
-1.2569 2.5296 7.8319
0.0000 1.5444 1.0558
-1.4816 4.1107 1.0558
1.3375 0.7722 5.7833
0.0000 3.2552 5.7710
1.2569 2.5296 7.8319
0.0000 4.7066 7.8319
2.8191 0.1763 3.1044
1.5622 2.3533 3.1044
2.8191 1.6276 1.0435
1.4816 4.1107 1.0558
4.3007 0.7722 5.7833
2.8191 3.3384 5.7833
4.0760 2.3533 3.1044
```

(3)
Below is a relaxed Li3Co2NiO6 crystal, with properties calculated at the PBE+U level.

Density ... 4.529 Mg/m³
ΔE_f ... -1588 meV per atom
Energy ... -64.5 eV for the cell shown
Total magnetic moment ... 0.4167 μB/atom
Symmetry ... P1

```
Li3Co2NiO6
1.0
2.9945 0.0000 0.0000
-0.0948 5.9534 0.0000
-1.4888 -1.5851 6.0331
Li Co Ni O
3 2 1 6
Cartesian
0.0000 0.0000 0.0000
-0.0594 2.9500 3.9708
1.4714 1.4749 1.9850
-1.5174 1.4122 5.9993
-0.0298 -0.0539 3.9957
1.4205 4.4459 1.9817
-0.0728 -0.1119 2.0771
0.0124 3.0521 1.8875
-0.0120 -0.0423 5.9270
1.4468 4.4274 0.0769
1.3941 4.4694 3.8858
1.4595 1.4023 4.0712
```

(4)
Below is a relaxed Li4Co5NiO12 crystal, with properties calculated at the PBE+U level.

Density ... 4.566 Mg/m³
ΔE_f ... -1481 meV per atom
Energy ... -243.9 eV for the cell shown
Total magnetic moment ... 0.0455 μB/atom
Symmetry ... C2/m

```
Li4Co5NiO12
1.0
10.2844 -4.2296 0.0000
10.2844 4.2296 0.0000
-1.1801 0.0000 4.7915
Li Co Ni O
8 10 2 24
Cartesian
6.5574 2.1305 4.6203
7.1564 2.1013 2.2069
12.8313 2.1305 0.1712
12.2323 2.1013 2.5847
7.1564 -2.1013 2.2069
6.5574 -2.1305 4.6203
12.2323 -2.1013 2.5847
12.8313 -2.1305 0.1712
0.0000 0.0000 0.0000
4.8456 1.3891 1.1983
9.6943 2.8165 2.3958
10.2844 1.3842 0.0000
4.8456 -1.3891 1.1983
9.6943 0.0000 2.3958
14.5431 1.3891 3.5932
10.2844 -1.3842 0.0000
9.6943 -2.8165 2.3958
14.5431 -1.3891 3.5932
4.2548 0.0000 3.5931
15.1339 0.0000 1.1984
3.0803 1.4186 4.1399

## Exercise
Filter the calculation results further above: keep the lines with the word "P6_3mc".

## Reply
Symmetry ... P6_3mc